# To do
What is needed: say how many lines of the calculation results below hold the word "Na5Zn2Ge2P5SO24", as a bare number.

# Contents
........
Entry 1:
Density functional theory data (PBE-GGA) for a relaxed Na5Zn2Ge2P5SO24 crystal.

Output
For the calculated total energy, the calculation gives -6.243 eV per atom. As for the energy relative to the elements: -91.6 eV/f.u.

Cell: 8.7334 8.7258 21.8643 Å, 90.56 89.37 120.15°
With the nearest neighbours (Å) after each atom.
Fractional positions:
Na: 0.6338 0.0010 0.2528  6 O 2.31-2.55
Na: 0.3736 0.3758 0.2463  5 O 2.32-2.44
Na: 0.9932 0.6187 0.2531  6 O 2.37-2.53
Na: 0.6423 0.6304 0.7470  4 O 2.28-2.45
Na: 0.9869 0.3577 0.7477  4 O 2.33-2.41
Na: 0.3719 0.0159 0.7478  4 O 2.31-2.41
Na: 0.3055 0.9639 0.0744  4 O 2.28-2.43
Na: 0.0378 0.3481 0.0756  4 O 2.28-2.42
Na: 0.7054 0.6768 0.4179  5 O 2.30-2.55
Na: 0.0081 0.0077 0.5002  6 O 2.39-2.44
Na: 0.9959 0.9958 0.9884  5 O 2.32-2.60
Na: 0.6668 0.3310 0.8336  6 O 2.40-2.63
Na: 0.6785 0.3239 0.3368  6 O 2.46-2.66
Na: 0.3494 0.6638 0.1608  6 O 2.38-2.61
Na: 0.3350 0.6662 0.6621  6 O 2.46-2.55
Zn: 0.9887 0.9988 0.3568  6 O 1.97-2.19
Zn: 0.0085 0.0090 0.8528  6 O 1.96-2.18
Zn: 0.6701 0.3367 0.6757  6 O 2.02-2.22
Zn: 0.6700 0.3378 0.1783  4 O 1.94-2.11
Zn: 0.3334 0.6665 0.0147  6 O 1.96-2.15
Zn: 0.3293 0.6678 0.3220  5 O 2.01-2.22
Ge: 0.0004 0.9998 0.6457  6 O 1.95-1.99
Ge: 0.9876 0.9977 0.1432  6 O 1.87-2.08
Ge: 0.6695 0.3274 0.9817  6 O 1.91-2.12
Ge: 0.6786 0.3290 0.4896  5 O 1.84-1.92
Ge: 0.3314 0.6740 0.5198  6 O 1.84-2.02
Ge: 0.3259 0.6701 0.8183  6 O 1.88-2.04
P: 0.7100 0.7101 0.2510  4 O 1.53-1.60
P: 0.0018 0.2880 0.2487  4 O 1.51-1.61
P: 0.2896 0.2957 0.7501  4 O 1.50-1.60
P: 0.0041 0.7144 0.7506  4 O 1.50-1.60
P: 0.7070 0.9933 0.7513  4 O 1.50-1.60
P: 0.9725 0.3338 0.5846  4 O 1.52-1.56
P: 0.3687 0.0382 0.5843  4 O 1.52-1.57
P: 0.6651 0.6338 0.5825  4 O 1.52-1.58
P: 0.9532 0.6316 0.0843  4 O 1.52-1.58
P: 0.6700 0.0391 0.0851  4 O 1.51-1.58
P: 0.3719 0.3280 0.0854  4 O 1.51-1.61
P: 0.0312 0.3741 0.9196  4 O 1.51-1.61
P: 0.3411 0.9687 0.9199  4 O 1.51-1.62
P: 0.6206 0.9675 0.4197  4 O 1.53-1.57
P: 0.0348 0.6572 0.4201  4 O 1.53-1.60
S: 0.2849 0.9981 0.2487  4 O 1.45-1.52
S: 0.6222 0.6558 0.9168  4 O 1.45-1.54
S: 0.3399 0.3728 0.4198  4 O 1.47-1.50
O: 0.1988 0.0186 0.3028  1 S 1.45
O: 0.8170 0.7846 0.3095  1 P 1.53
O: 0.9769 0.1727 0.3034  1 P 1.51
O: 0.2163 0.1804 0.8057  1 P 1.50
O: 0.9656 0.7910 0.8065  1 P 1.50
O: 0.8215 0.0294 0.8065  1 P 1.50
O: 0.7883 0.9494 0.6925  1 P 1.60
O: 0.1626 0.2127 0.6928  1 P 1.59
O: 0.0484 0.8380 0.6924  1 P 1.59
O: 0.8055 0.8348 0.1937  1 P 1.60
O: 0.0315 0.2031 0.1870  1 P 1.61
O: 0.1821 0.9766 0.1904  1 S 1.52
O: 0.9038 0.3710 0.6437  1 P 1.52
O: 0.4692 0.1056 0.6440  1 P 1.52
O: 0.6303 0.5294 0.6413  1 P 1.52
O: 0.8864 0.5313 0.1443  1 P 1.52
O: 0.6396 0.1116 0.1450  1 P 1.53
O: 0.4627 0.3465 0.1464  1 P 1.52
O: 0.4667 0.2884 0.0308  1 P 1.58
O: 0.8284 0.5362 0.0290  1 P 1.56
O: 0.7127 0.1729 0.0308  1 P 1.58
O: 0.4676 0.1672 0.5302  1 P 1.56
O: 0.6957 0.5383 0.5260  1 P 1.58
O: 0.8451 0.2982 0.5299  1 P 1.56
O: 0.5377 0.6752 0.9714  1 S 1.45
O: 0.1333 0.4570 0.9778  1 P 1.51
O: 0.3274 0.8686 0.9778  1 P 1.51
O: 0.5174 0.8302 0.4713  1 P 1.56
O: 0.3162 0.4671 0.4722  1 S 1.48
O: 0.1579 0.6768 0.4734  1 P 1.54
O: 0.0984 0.6224 0.3585  1 P 1.53
O: 0.5243 0.9015 0.3583  1 P 1.54
O: 0.3718 0.4739 0.3616  1 S 1.50
O: 0.1239 0.4949 0.8602  1 P 1.61
O: 0.3737 0.8787 0.8600  1 P 1.62
O: 0.5124 0.6297 0.8587  1 S 1.54
O: 0.0095 0.8182 0.4208  1 P 1.53
O: 0.8037 0.9852 0.4211  1 P 1.53
O: 0.1845 0.1939 0.4174  1 S 1.47
O: 0.0000 0.1888 0.9121  1 P 1.51
O: 0.1812 0.9895 0.9127  1 P 1.51
O: 0.7992 0.8091 0.9105  1 S 1.46
O: 0.9873 0.1634 0.5877  1 P 1.56
O: 0.1818 0.0209 0.5869  1 P 1.56
O: 0.8377 0.8201 0.5857  1 P 1.57
O: 0.9698 0.8204 0.0870  1 P 1.58
O: 0.8493 0.0357 0.0861  1 P 1.58
O: 0.1831 0.1482 0.0856  1 P 1.61
O: 0.6764 0.1500 0.7423  1 P 1.53
O: 0.4778 0.3288 0.7403  1 P 1.53
O: 0.8487 0.5256 0.7413  1 P 1.53
O: 0.6851 0.5231 0.2443  1 P 1.54
O: 0.8346 0.3053 0.2451  1 P 1.54
O: 0.4646 0.1561 0.2457  1 S 1.48
........

# Reply
1